(Excerpt)
<<<
No. 1
Density functional theory data (the ωB97M-V functional and the def2-TZVPD basis) for an isolated ion of composition C2H7N4S and charge +1 in a non-equilibrium geometry.

CARTESIAN COORDINATES (ANGSTROEM)
S: 1.350 1.576 0.756
N: -3.271 -0.647 -0.555
N: 1.842 0.706 -0.476
N: -0.239 0.667 1.171
N: -1.232 0.303 0.453
C: -2.214 -0.079 -0.090
C: 2.323 -0.578 -0.167
H: 2.005 -1.377 -0.882
H: 1.895 -0.787 0.757
H: -0.635 0.997 2.126
H: 3.334 -0.437 0.098
H: -3.055 -1.395 -1.167
H: 1.954 1.094 -1.352
H: -4.057 -0.042 -0.671

The value obtained for the relative energy (zero: lowest compared OMol25 entry of this formula, charge and spin) is 331.6 kJ/mol. As for the net charge: +1. For the HOMO energy (spin up / spin down), the calculation gives -9.6105 / -13.1330 eV. Its multiplicity is 3. The total energy comes out at -697.11071 Eh.

Here are the Mulliken charges for atoms 1 to 2, given in e:
1. S 0.151
2. N -0.388

***

No. 2
Density functional theory data (the ωB97M-V functional and the def2-TZVPD basis) for one molecule with the formula C2H7N5 in a non-equilibrium geometry.

CARTESIAN COORDINATES (ANGSTROEM)
N: -0.136 -1.127 -0.610
N: 1.551 1.866 0.020
N: -2.054 -1.848 -1.505
N: 0.318 1.141 0.205
N: -1.379 -0.922 -0.756
C: 0.565 -0.286 0.089
C: 0.257 0.388 1.410
H: -3.114 -1.718 -1.634
H: 1.568 -0.629 -0.043
H: -1.469 -2.605 -1.889
H: -0.723 0.580 1.810
H: 1.353 2.864 0.005
H: 1.224 0.450 1.997
H: 2.039 1.848 0.901

The value obtained for the relative energy (zero: lowest compared OMol25 entry of this formula, charge and spin) is 466.2 kJ/mol. As for the SMILES: N/N=N/[C@@H]1CN1N. As for the net charge: 0. For the HOMO energy, the calculation gives -8.6391 eV. Its multiplicity is 1. The total energy comes out at -354.01382 Eh.

Here are the Mulliken charges for atoms 1 to 2, given in e:
1. N -0.276
2. N -0.581

***

No. 3
Density functional theory data (the ωB97M-V functional and the def2-TZVPD basis) for an isolated ion of composition C2H7N6O2 and charge +1 in a non-equilibrium geometry.

CARTESIAN COORDINATES (ANGSTROEM)
O: 1.265 -1.439 -0.745
O: -2.380 3.294 1.585
N: -0.489 -0.476 1.252
N: -0.630 -0.263 -0.035
N: -1.775 2.521 0.970
N: -1.725 1.697 0.156
N: -1.065 0.897 -0.541
N: -0.823 0.401 2.099
C: 2.149 -0.444 -1.264
C: -0.064 -1.246 -0.994
H: -0.698 0.125 3.067
H: -0.573 -2.207 -0.849
H: 2.052 0.502 -0.725
H: -0.290 -0.844 -1.993
H: -0.069 -1.402 1.464
H: 1.965 -0.278 -2.327
H: 3.151 -0.837 -1.120

The value obtained for the relative energy (zero: lowest compared OMol25 entry of this formula, charge and spin) is 496.2 kJ/mol. As for the SMILES: [H]/N=[NH+]/N(COC)/N=N\N=O. As for the net charge: +1. For the HOMO energy (spin up / spin down), the calculation gives -13.1956 / -13.1070 eV. Its multiplicity is 1. The total energy comes out at -558.83835 Eh.

Here are the Mulliken charges for atoms 1 to 2, given in e:
1. O -0.334
2. O -0.455

***

No. 4
Density functional theory data (the ωB97M-V functional and the def2-TZVPD basis) for a 2-piece molecular cluster, C2H7N6O2 overall in a non-equilibrium geometry.

CARTESIAN COORDINATES (ANGSTROEM)
O: -1.770 -1.320 0.452
O: -1.714 0.906 0.288
N: -1.195 -0.279 0.427
N: 0.088 -0.391 0.489
N: -4.098 0.121 -0.382
N: 1.979 0.793 0.496
N: 0.839 0.597 0.609
N: 4.297 0.565 -0.113
C: 2.788 -1.277 -0.410
C: 3.182 -0.115 0.015
H: -3.694 -0.788 -0.164
H: -4.461 0.239 -1.353
H: -3.096 0.709 -0.095
H: -4.717 0.435 0.255
H: 5.229 0.050 -0.147
H: 1.817 -1.700 -0.681
H: 4.526 1.454 0.315

The value obtained for the relative energy (zero: lowest compared OMol25 entry of this formula, charge and spin) is 516.9 kJ/mol. As for the net charge: +1. For the HOMO energy (spin up / spin down), the calculation gives -12.6752 / -12.6784 eV. Its multiplicity is 1. The total energy comes out at -558.83048 Eh.

Here are the Mulliken charges for atoms 1 to 2, given in e:
1. O -0.629
2. O -0.672

***

No. 5
>>>

(Exercise)
Could you type out only the last part of the entries further up, starting with the line that has "1.965 -0.278"?

(Reply)
H: 1.965 -0.278 -2.327
H: 3.151 -0.837 -1.120

The value obtained for the relative energy (zero: lowest compared OMol25 entry of this formula, charge and spin) is 496.2 kJ/mol. As for the SMILES: [H]/N=[NH+]/N(COC)/N=N\N=O. As for the net charge: +1. For the HOMO energy (spin up / spin down), the calculation gives -13.1956 / -13.1070 eV. Its multiplicity is 1. The total energy comes out at -558.83835 Eh.

Here are the Mulliken charges for atoms 1 to 2, given in e:
1. O -0.334
2. O -0.455

***

No. 4
Density functional theory data (the ωB97M-V functional and the def2-TZVPD basis) for a 2-piece molecular cluster, C2H7N6O2 overall in a non-equilibrium geometry.

CARTESIAN COORDINATES (ANGSTROEM)
O: -1.770 -1.320 0.452
O: -1.714 0.906 0.288
N: -1.195 -0.279 0.427
N: 0.088 -0.391 0.489
N: -4.098 0.121 -0.382
N: 1.979 0.793 0.496
N: 0.839 0.597 0.609
N: 4.297 0.565 -0.113
C: 2.788 -1.277 -0.410
C: 3.182 -0.115 0.015
H: -3.694 -0.788 -0.164
H: -4.461 0.239 -1.353
H: -3.096 0.709 -0.095
H: -4.717 0.435 0.255
H: 5.229 0.050 -0.147
H: 1.817 -1.700 -0.681
H: 4.526 1.454 0.315

The value obtained for the relative energy (zero: lowest compared OMol25 entry of this formula, charge and spin) is 516.9 kJ/mol. As for the net charge: +1. For the HOMO energy (spin up / spin down), the calculation gives -12.6752 / -12.6784 eV. Its multiplicity is 1. The total energy comes out at -558.83048 Eh.

Here are the Mulliken charges for atoms 1 to 2, given in e:
1. O -0.629
2. O -0.672

***

No. 5